........
[1]
A relaxed Na2Nb2Ga6Si3S9O48 crystal, computed with PBE-GGA.

Output
Electronic total energy: -0.4764 Ry per atom
Energy relative to the elements: -2.21 eV/atom
Total magnetization: 0.0 μB per formula unit

Structure (POSCAR):
```
Na2Nb2Ga6Si3S9O48
1.0
8.615 0.000 0.000
-0.075 14.967 0.000
-0.033 -0.109 22.392
Na Nb Ga Si S O
6 6 18 9 27 144
Cartesian
0.000 0.000 0.000
-0.045 9.907 3.693
4.168 2.386 14.957
4.162 7.400 11.234
4.244 2.400 3.620
8.509 9.810 14.899
-0.023 4.865 10.719
0.051 0.000 14.440
4.099 7.520 3.178
4.098 12.309 21.875
4.282 7.304 19.286
8.508 -0.034 7.999
-0.013 -0.079 19.006
-0.043 9.847 6.972
-0.044 14.912 3.207
0.039 4.944 15.282
4.077 12.485 4.007
4.100 7.358 14.497
4.171 7.414 7.761
4.193 2.378 18.246
4.223 2.429 0.365
4.162 12.413 15.469
4.184 12.365 10.765
4.248 2.411 11.632
4.282 2.488 7.049
8.431 4.796 21.832
8.455 9.866 18.257
8.542 5.013 4.182
8.521 9.924 0.402
8.536 9.790 11.633
1.173 7.133 13.110
1.282 2.781 13.076
1.637 7.404 5.665
2.460 14.875 16.904
2.840 10.338 1.858
2.948 14.706 1.885
5.483 4.322 20.554
6.142 9.915 20.527
6.580 2.481 9.339
1.042 12.040 20.473
1.082 7.673 20.508
1.131 12.739 5.569
1.213 2.127 5.569
1.687 2.362 20.524
1.711 12.341 13.020
2.356 4.897 1.828
2.411 9.927 9.329
2.915 9.554 16.774
2.949 5.205 16.758
3.037 4.614 9.282
3.065 0.223 9.313
5.382 14.507 13.040
5.434 10.248 13.055
5.482 5.230 5.585
5.456 9.659 5.608
5.544 0.213 20.475
5.968 14.903 5.515
6.022 4.914 13.094
6.705 7.363 16.716
6.699 12.444 1.896
7.212 7.776 9.281
7.229 11.981 9.334
7.283 2.125 16.796
7.235 12.658 16.786
7.325 2.811 1.898
7.320 7.097 1.851
0.432 6.495 14.385
0.465 8.590 12.892
0.426 13.380 20.370
0.510 1.309 13.202
0.479 11.420 5.762
0.481 13.337 4.387
0.528 3.400 11.736
0.500 8.262 19.287
0.493 11.440 21.699
0.567 3.422 5.427
0.538 6.333 20.696
0.607 1.467 6.799
0.793 1.161 20.387
0.787 6.096 5.345
0.771 8.785 5.715
0.823 11.177 12.843
0.880 3.581 20.715
0.839 13.542 13.196
0.887 6.191 11.752
0.860 13.590 6.784
0.908 11.215 19.264
0.965 3.605 14.395
1.025 1.262 4.394
0.964 8.520 21.705
1.274 10.089 1.637
1.314 14.766 1.977
1.427 9.702 16.936
1.482 5.111 16.655
1.437 14.575 18.097
1.517 0.155 15.525
1.561 0.062 9.092
1.555 4.696 3.052
1.552 4.754 9.414
1.555 5.190 0.631
1.571 9.673 10.526
1.588 10.186 8.126
2.476 2.589 19.304
2.491 2.055 21.725
2.514 12.629 11.805
2.527 12.093 14.213
2.531 12.184 20.604
2.569 7.557 20.298
2.604 7.153 6.923
2.592 12.631 5.474
2.686 2.246 5.780
2.658 7.672 4.322
2.803 7.235 13.175
2.848 2.548 12.826
3.095 8.721 15.550
3.153 1.060 10.510
3.128 11.123 3.220
3.184 3.785 8.071
3.196 6.065 17.945
3.245 3.744 1.731
3.239 6.121 2.011
3.226 13.720 0.570
3.251 11.145 9.517
3.284 8.733 9.190
3.281 13.560 16.533
3.394 1.280 16.975
3.514 8.936 17.962
3.575 3.882 16.884
3.613 0.819 8.090
3.544 10.871 16.575
3.601 4.010 10.498
3.593 5.801 15.551
3.560 13.844 9.495
3.604 10.945 0.542
3.627 8.867 2.015
3.654 5.959 9.172
3.700 1.198 1.643
3.655 14.073 3.203
4.724 3.807 21.872
4.800 3.900 5.692
4.799 5.868 20.272
4.769 13.885 14.225
4.853 0.879 12.923
4.801 10.822 11.821
4.859 5.874 4.397
4.838 10.966 5.409
4.856 8.895 13.195
4.868 9.026 6.813
4.894 0.758 19.278
4.871 13.837 20.672
5.113 8.622 20.277
5.191 1.131 5.697
5.169 3.720 12.920
5.131 11.181 20.731
5.200 6.142 13.202
5.208 3.555 19.166
5.191 13.664 5.435
5.188 13.704 11.795
5.203 11.080 14.254
5.275 8.761 4.401
5.305 6.044 6.814
5.366 1.016 21.699
5.756 2.117 10.657
5.734 7.622 9.119
5.818 2.679 7.955
5.822 2.188 16.855
5.782 12.200 9.508
5.788 12.492 16.578
5.867 2.689 1.771
5.843 7.211 2.054
5.839 7.628 15.532
5.850 7.184 17.938
5.889 12.683 0.674
5.892 12.191 3.113
6.834 4.656 14.293
6.841 5.139 11.853
6.929 0.198 4.368
6.851 14.725 6.763
6.849 14.625 13.207
6.925 5.060 5.396
6.909 10.164 12.877
6.932 9.772 5.746
6.921 10.146 19.152
6.959 9.570 21.861
7.024 0.053 20.310
7.031 4.694 20.715
7.385 8.617 10.496
7.402 13.483 17.995
7.455 11.194 8.109
7.527 1.216 15.571
7.502 6.135 16.600
7.530 6.293 0.643
........
It remains to echo the part of the block further above that starts with the line with "-0.043 9.847" and stops after the one with "20.310".
-0.043 9.847 6.972
-0.044 14.912 3.207
0.039 4.944 15.282
4.077 12.485 4.007
4.100 7.358 14.497
4.171 7.414 7.761
4.193 2.378 18.246
4.223 2.429 0.365
4.162 12.413 15.469
4.184 12.365 10.765
4.248 2.411 11.632
4.282 2.488 7.049
8.431 4.796 21.832
8.455 9.866 18.257
8.542 5.013 4.182
8.521 9.924 0.402
8.536 9.790 11.633
1.173 7.133 13.110
1.282 2.781 13.076
1.637 7.404 5.665
2.460 14.875 16.904
2.840 10.338 1.858
2.948 14.706 1.885
5.483 4.322 20.554
6.142 9.915 20.527
6.580 2.481 9.339
1.042 12.040 20.473
1.082 7.673 20.508
1.131 12.739 5.569
1.213 2.127 5.569
1.687 2.362 20.524
1.711 12.341 13.020
2.356 4.897 1.828
2.411 9.927 9.329
2.915 9.554 16.774
2.949 5.205 16.758
3.037 4.614 9.282
3.065 0.223 9.313
5.382 14.507 13.040
5.434 10.248 13.055
5.482 5.230 5.585
5.456 9.659 5.608
5.544 0.213 20.475
5.968 14.903 5.515
6.022 4.914 13.094
6.705 7.363 16.716
6.699 12.444 1.896
7.212 7.776 9.281
7.229 11.981 9.334
7.283 2.125 16.796
7.235 12.658 16.786
7.325 2.811 1.898
7.320 7.097 1.851
0.432 6.495 14.385
0.465 8.590 12.892
0.426 13.380 20.370
0.510 1.309 13.202
0.479 11.420 5.762
0.481 13.337 4.387
0.528 3.400 11.736
0.500 8.262 19.287
0.493 11.440 21.699
0.567 3.422 5.427
0.538 6.333 20.696
0.607 1.467 6.799
0.793 1.161 20.387
0.787 6.096 5.345
0.771 8.785 5.715
0.823 11.177 12.843
0.880 3.581 20.715
0.839 13.542 13.196
0.887 6.191 11.752
0.860 13.590 6.784
0.908 11.215 19.264
0.965 3.605 14.395
1.025 1.262 4.394
0.964 8.520 21.705
1.274 10.089 1.637
1.314 14.766 1.977
1.427 9.702 16.936
1.482 5.111 16.655
1.437 14.575 18.097
1.517 0.155 15.525
1.561 0.062 9.092
1.555 4.696 3.052
1.552 4.754 9.414
1.555 5.190 0.631
1.571 9.673 10.526
1.588 10.186 8.126
2.476 2.589 19.304
2.491 2.055 21.725
2.514 12.629 11.805
2.527 12.093 14.213
2.531 12.184 20.604
2.569 7.557 20.298
2.604 7.153 6.923
2.592 12.631 5.474
2.686 2.246 5.780
2.658 7.672 4.322
2.803 7.235 13.175
2.848 2.548 12.826
3.095 8.721 15.550
3.153 1.060 10.510
3.128 11.123 3.220
3.184 3.785 8.071
3.196 6.065 17.945
3.245 3.744 1.731
3.239 6.121 2.011
3.226 13.720 0.570
3.251 11.145 9.517
3.284 8.733 9.190
3.281 13.560 16.533
3.394 1.280 16.975
3.514 8.936 17.962
3.575 3.882 16.884
3.613 0.819 8.090
3.544 10.871 16.575
3.601 4.010 10.498
3.593 5.801 15.551
3.560 13.844 9.495
3.604 10.945 0.542
3.627 8.867 2.015
3.654 5.959 9.172
3.700 1.198 1.643
3.655 14.073 3.203
4.724 3.807 21.872
4.800 3.900 5.692
4.799 5.868 20.272
4.769 13.885 14.225
4.853 0.879 12.923
4.801 10.822 11.821
4.859 5.874 4.397
4.838 10.966 5.409
4.856 8.895 13.195
4.868 9.026 6.813
4.894 0.758 19.278
4.871 13.837 20.672
5.113 8.622 20.277
5.191 1.131 5.697
5.169 3.720 12.920
5.131 11.181 20.731
5.200 6.142 13.202
5.208 3.555 19.166
5.191 13.664 5.435
5.188 13.704 11.795
5.203 11.080 14.254
5.275 8.761 4.401
5.305 6.044 6.814
5.366 1.016 21.699
5.756 2.117 10.657
5.734 7.622 9.119
5.818 2.679 7.955
5.822 2.188 16.855
5.782 12.200 9.508
5.788 12.492 16.578
5.867 2.689 1.771
5.843 7.211 2.054
5.839 7.628 15.532
5.850 7.184 17.938
5.889 12.683 0.674
5.892 12.191 3.113
6.834 4.656 14.293
6.841 5.139 11.853
6.929 0.198 4.368
6.851 14.725 6.763
6.849 14.625 13.207
6.925 5.060 5.396
6.909 10.164 12.877
6.932 9.772 5.746
6.921 10.146 19.152
6.959 9.570 21.861
7.024 0.053 20.310